Source
An optimized crystal structure of Er2Pd2Pb. Source: the Materials Project, functional PBE.

For the total energy, the calculation gives -5.487 eV per atom. The calculation puts the mass density at 11.209 Mg/m³. The space-group type is P4/mbm. The value obtained for the energy of formation from the pure elements is -0.845 eV/atom.

Cell: 7.933 7.933 3.553 Å, 90.00 90.00 90.00°
Element x y z (fractional)
Pd: 0.626 0.874 0.000
Pd: 0.374 0.126 0.000
Pd: 0.126 0.626 0.000
Pd: 0.874 0.374 0.000
Er: 0.831 0.669 0.500
Er: 0.669 0.169 0.500
Er: 0.331 0.831 0.500
Er: 0.169 0.331 0.500
Pb: 0.000 0.000 0.000
Pb: 0.500 0.500 0.000



An optimized crystal structure of Cs2MgRe2O8. Source: the Materials Project, functional PBE.

For the total energy, the calculation gives -6.970 eV per atom. The calculation puts the mass density at 4.460 Mg/m³. The space-group type is C2/m. The value obtained for the energy of formation from the pure elements is -2.173 eV/atom. The value obtained for the distance to the lowest polymorph of the same formula is 0.000 eV per atom.

Cell: 6.008 6.672 9.493 Å, 123.32 108.45 90.00°
Element x y z (fractional)
O: 0.287 0.265 0.118
O: 0.336 0.829 0.671
O: 0.320 0.338 0.639
O: 0.664 0.171 0.329
O: 0.169 0.735 0.882
O: 0.713 0.735 0.882
O: 0.680 0.662 0.361
O: 0.831 0.265 0.118
Re: 0.614 0.333 0.228
Re: 0.386 0.667 0.772
Cs: 0.844 0.220 0.688
Cs: 0.156 0.780 0.312
Mg: 0.000 0.000 0.000

* * * * *

[1]
TmSb, optimized geometry, DFT r2SCAN; crystal system = cubic
1.0
0.000 3.060 3.060
3.060 0.000 3.060
3.060 3.060 0.000
Tm Sb
1 1
Direct
0.000 0.000 0.000
0.500 0.500 0.500


[2]
MgTi11O20, optimized geometry, DFT r2SCAN; crystal system = monoclinic
1.0
3.787 -9.983 0.000
3.787 9.983 0.000
-1.890 0.000 4.898
Mg Ti O
1 11 20
Direct
0.000 0.000 0.000
0.052 0.551 0.218
0.122 0.811 0.880
0.235 0.425 0.342
0.311 0.619 0.874
0.425 0.235 0.342
0.496 0.496 0.008
0.551 0.052 0.218
0.619 0.311 0.874
0.739 0.925 0.340
0.811 0.122 0.880
0.925 0.739 0.340
0.057 0.690 0.512
0.083 0.403 0.974
0.149 0.964 0.234
0.190 0.563 0.512
0.263 0.765 0.069
0.292 0.292 0.157
0.359 0.488 0.713
0.403 0.083 0.974
0.463 0.647 0.240
0.488 0.359 0.713
0.563 0.190 0.512
0.581 0.900 0.986
0.647 0.463 0.240
0.690 0.057 0.512
0.765 0.263 0.069
0.780 0.780 0.155
0.854 0.991 0.701
0.900 0.581 0.986
0.964 0.149 0.234
0.991 0.854 0.701


[3]
SrLiAs, optimized geometry, DFT r2SCAN; crystal system = orthorhombic
1.0
7.661 0.000 0.000
0.000 4.516 0.000
0.000 0.000 8.049
Sr Li As
4 4 4
Direct
0.007 0.250 0.206
0.493 0.750 0.706
0.507 0.250 0.294
0.993 0.750 0.794
0.158 0.250 0.572
0.342 0.750 0.072
0.658 0.250 0.928
0.842 0.750 0.428
0.224 0.750 0.405
0.276 0.250 0.905
0.724 0.750 0.095
0.776 0.250 0.595


[4]
Ag5Pb2O6, optimized geometry, DFT r2SCAN; crystal system = trigonal
1.0
5.956 0.000 0.000
-2.978 5.158 0.000
0.000 0.000 6.468
Ag Pb O
5 2 6
Direct
0.000 0.000 0.224
0.000 0.000 0.776
0.000 0.500 0.000
0.500 0.000 0.000
0.500 0.500 0.000
0.333 0.667 0.500
0.667 0.333 0.500
0.000 0.378 0.308
0.000 0.622 0.692
0.378 0.000 0.308
0.378 0.378 0.692
0.622 0.000 0.692
0.622 0.622 0.308


[5]
PrYAl6, optimized geometry, DFT r2SCAN; crystal system = hexagonal
1.0
6.431 0.000 0.000
-3.216 5.569 0.000
0.000 0.000 4.592
Pr Y Al
1 1 6
Direct
0.000 0.000 0.000
0.667 0.333 0.500
0.048 0.524 0.000
0.194 0.387 0.500
0.194 0.806 0.500
0.476 0.524 0.000
0.476 0.952 0.000
0.613 0.806 0.500


[6]
ScSiPt, optimized geometry, DFT r2SCAN; crystal system = orthorhombic
1.0
6.608 0.000 0.000
0.000 4.148 0.000
0.000 0.000 7.268
Sc Si Pt
4 4 4
Direct
0.002 0.250 0.202
0.498 0.750 0.702
0.502 0.250 0.298
0.998 0.750 0.798
0.193 0.250 0.593
0.307 0.750 0.093
0.693 0.250 0.907
0.807 0.750 0.407
0.200 0.750 0.416
0.300 0.250 0.916
0.700 0.750 0.084
0.800 0.250 0.584


[7]
PdS2Cl6, optimized geometry, DFT r2SCAN; crystal system = triclinic
1.0
4.495 0.000 0.000
-0.410 6.782 0.000
-1.006 -1.980 7.919
Pd S Cl
1 2 6
Direct
0.000 0.000 0.000
0.303 0.233 0.211
0.697 0.767 0.789
0.084 0.487 0.217

Exercise
It remains to return the lines further above up to the one that holds "0.000 0.378", that line included.

Done
An optimized crystal structure of Er2Pd2Pb. Source: the Materials Project, functional PBE.

For the total energy, the calculation gives -5.487 eV per atom. The calculation puts the mass density at 11.209 Mg/m³. The space-group type is P4/mbm. The value obtained for the energy of formation from the pure elements is -0.845 eV/atom.

Cell: 7.933 7.933 3.553 Å, 90.00 90.00 90.00°
Element x y z (fractional)
Pd: 0.626 0.874 0.000
Pd: 0.374 0.126 0.000
Pd: 0.126 0.626 0.000
Pd: 0.874 0.374 0.000
Er: 0.831 0.669 0.500
Er: 0.669 0.169 0.500
Er: 0.331 0.831 0.500
Er: 0.169 0.331 0.500
Pb: 0.000 0.000 0.000
Pb: 0.500 0.500 0.000



An optimized crystal structure of Cs2MgRe2O8. Source: the Materials Project, functional PBE.

For the total energy, the calculation gives -6.970 eV per atom. The calculation puts the mass density at 4.460 Mg/m³. The space-group type is C2/m. The value obtained for the energy of formation from the pure elements is -2.173 eV/atom. The value obtained for the distance to the lowest polymorph of the same formula is 0.000 eV per atom.

Cell: 6.008 6.672 9.493 Å, 123.32 108.45 90.00°
Element x y z (fractional)
O: 0.287 0.265 0.118
O: 0.336 0.829 0.671
O: 0.320 0.338 0.639
O: 0.664 0.171 0.329
O: 0.169 0.735 0.882
O: 0.713 0.735 0.882
O: 0.680 0.662 0.361
O: 0.831 0.265 0.118
Re: 0.614 0.333 0.228
Re: 0.386 0.667 0.772
Cs: 0.844 0.220 0.688
Cs: 0.156 0.780 0.312
Mg: 0.000 0.000 0.000

* * * * *

[1]
TmSb, optimized geometry, DFT r2SCAN; crystal system = cubic
1.0
0.000 3.060 3.060
3.060 0.000 3.060
3.060 3.060 0.000
Tm Sb
1 1
Direct
0.000 0.000 0.000
0.500 0.500 0.500


[2]
MgTi11O20, optimized geometry, DFT r2SCAN; crystal system = monoclinic
1.0
3.787 -9.983 0.000
3.787 9.983 0.000
-1.890 0.000 4.898
Mg Ti O
1 11 20
Direct
0.000 0.000 0.000
0.052 0.551 0.218
0.122 0.811 0.880
0.235 0.425 0.342
0.311 0.619 0.874
0.425 0.235 0.342
0.496 0.496 0.008
0.551 0.052 0.218
0.619 0.311 0.874
0.739 0.925 0.340
0.811 0.122 0.880
0.925 0.739 0.340
0.057 0.690 0.512
0.083 0.403 0.974
0.149 0.964 0.234
0.190 0.563 0.512
0.263 0.765 0.069
0.292 0.292 0.157
0.359 0.488 0.713
0.403 0.083 0.974
0.463 0.647 0.240
0.488 0.359 0.713
0.563 0.190 0.512
0.581 0.900 0.986
0.647 0.463 0.240
0.690 0.057 0.512
0.765 0.263 0.069
0.780 0.780 0.155
0.854 0.991 0.701
0.900 0.581 0.986
0.964 0.149 0.234
0.991 0.854 0.701


[3]
SrLiAs, optimized geometry, DFT r2SCAN; crystal system = orthorhombic
1.0
7.661 0.000 0.000
0.000 4.516 0.000
0.000 0.000 8.049
Sr Li As
4 4 4
Direct
0.007 0.250 0.206
0.493 0.750 0.706
0.507 0.250 0.294
0.993 0.750 0.794
0.158 0.250 0.572
0.342 0.750 0.072
0.658 0.250 0.928
0.842 0.750 0.428
0.224 0.750 0.405
0.276 0.250 0.905
0.724 0.750 0.095
0.776 0.250 0.595


[4]
Ag5Pb2O6, optimized geometry, DFT r2SCAN; crystal system = trigonal
1.0
5.956 0.000 0.000
-2.978 5.158 0.000
0.000 0.000 6.468
Ag Pb O
5 2 6
Direct
0.000 0.000 0.224
0.000 0.000 0.776
0.000 0.500 0.000
0.500 0.000 0.000
0.500 0.500 0.000
0.333 0.667 0.500
0.667 0.333 0.500
0.000 0.378 0.308